Listing:
=====
No. 1
BaSrYbReO6 (r²SCAN, relaxed); SG = F-43m; size of the total moment = 2.0 μB/cell; E_tot = -0.71891 hartree per atom
1.0
-4.148 -1.202 3.942
-1.239 3.864 4.210
-5.067 2.915 -0.106
Ba Sr Yb Re O
1 1 1 1 6
direct
0.750 0.750 0.750
0.250 0.250 0.250
0.500 0.500 0.500
0.000 0.000 0.000
0.762 0.762 0.238
0.238 0.762 0.238
0.762 0.238 0.238
0.238 0.238 0.762
0.762 0.238 0.762
0.238 0.762 0.762

---

No. 2
Er3Ni2 (r²SCAN, relaxed); SG = R-3; size of the total moment = 0.0 μB/cell; E_tot = -0.93709 hartree per atom
1.0
6.782 -0.007 2.119
1.555 6.601 2.120
-0.009 -0.009 7.105
Er Ni
9 6
direct
0.500 0.500 0.500
0.293 0.293 0.293
0.707 0.707 0.707
0.330 0.836 0.113
0.113 0.330 0.836
0.836 0.113 0.330
0.670 0.164 0.887
0.887 0.670 0.164
0.164 0.887 0.670
0.644 0.461 0.086
0.086 0.644 0.461
0.461 0.086 0.644
0.356 0.539 0.914
0.914 0.356 0.539
0.539 0.914 0.356

---

No. 3
CaPd (r²SCAN, relaxed); SG = Pm-3m; size of the total moment = 0.0 μB/cell; E_tot = -0.57494 hartree per atom
1.0
-2.765 0.555 2.083
-0.896 -3.377 -0.291
1.960 -0.762 2.805
Ca Pd
1 1
direct
0.000 0.000 0.000
0.500 0.500 0.500

---

No. 4
HoCdHg2 (r²SCAN, relaxed); SG = Fm-3m; size of the total moment = 0.0 μB/cell; E_tot = -1.40910 hartree per atom
1.0
0.000 3.559 3.559
3.559 0.000 3.559
3.559 3.559 0.000
Ho Cd Hg
1 1 2
direct
0.750 0.750 0.750
0.250 0.250 0.250
0.000 0.000 0.000
0.500 0.500 0.500

---

No. 5
HfTi3 (r²SCAN, relaxed); SG = P6_3/mmc; size of the total moment = 0.0 μB/cell; E_tot = -0.77036 hartree per atom
1.0
1.171 5.195 -2.816
-2.147 0.042 5.628
4.414 -0.082 1.684
Hf Ti
2 6
direct
0.333 0.667 0.750
0.667 0.333 0.250
0.161 0.323 0.250
0.677 0.839 0.250
0.161 0.839 0.250
0.839 0.677 0.750
0.323 0.161 0.750
0.839 0.161 0.750

---

No. 6
TbPO4 (r²SCAN, relaxed); SG = I4_1/amd; size of the total moment = 0.0 μB/cell; E_tot = -0.51557 hartree per atom
1.0
5.519 0.001 -1.589
-3.126 4.548 -1.589
-0.001 -0.001 5.743
Tb P O
2 2 8
direct
0.125 0.875 0.250
0.875 0.125 0.750
0.375 0.625 0.750
0.625 0.375 0.250
0.783 0.359 0.076
0.708 0.783 0.924
0.359 0.783 0.576
0.783 0.708 0.424
0.292 0.217 0.076
0.217 0.641 0.924
0.217 0.292 0.576
0.641 0.217 0.424

=====

Ba4CaRh4O12 (PBE, optimized geometry); E above lowest polymorph = 79.0 meV per atom; symmetry = P3m1 (156)
1.0
-1.081 3.866 4.215
-4.217 -3.577 -1.820
2.883 -7.079 7.232
Rh O Ba Ca
4 12 4 1
Cartesian
-1.018 -1.335 4.983 Rh
-1.805 0.598 3.008 Rh
-0.625 -7.349 6.580 Rh
-1.423 -5.390 4.579 Rh
-0.711 -5.251 2.659 O
0.183 -6.623 8.281 O
0.361 -5.787 5.400 O
-0.317 -4.833 10.232 O
-2.015 -5.657 6.474 O
-1.243 -3.351 4.731 O
-3.315 -5.109 3.836 O
-0.928 0.684 4.939 O
-1.530 -7.391 4.584 O
2.135 -4.967 9.123 O
-0.448 -1.033 3.067 O
-2.801 -0.904 4.130 O
-2.358 -3.094 2.234 Ba
1.403 -3.445 3.519 Ba
-0.020 -3.786 7.487 Ba
0.291 -0.715 0.730 Ba
2.392 -5.873 6.000 Ca

---

Ba12SrCa3Ru8O36 (PBE, optimized geometry); symmetry = P-3m1 (164)
1.0
2.994 -5.185 0.000
2.994 5.185 0.000
0.000 0.000 30.205
O Ru Ba Ca Sr
36 8 12 3 1
Cartesian
1.580 0.912 6.234 O
1.580 0.912 16.475 O
2.994 3.361 16.475 O
2.994 -3.348 28.708 O
4.407 0.912 16.475 O
4.357 2.515 3.863 O
1.642 2.509 18.867 O
4.405 -0.914 8.946 O
4.396 -0.919 28.708 O
2.994 3.348 1.497 O
1.580 -0.912 23.971 O
4.396 0.919 1.497 O
4.357 -2.515 26.342 O
4.407 0.912 6.234 O
2.994 -3.358 8.946 O
2.994 3.358 21.259 O
1.583 -0.914 8.946 O
2.994 -3.361 23.971 O
4.407 -0.912 13.730 O
1.592 -0.919 28.708 O
4.346 -2.509 11.338 O
4.346 2.509 18.867 O
1.583 0.914 21.259 O
1.631 -2.515 26.342 O
=====
Request:
Please type out everything earlier on word for word.
Response:
No. 1
BaSrYbReO6 (r²SCAN, relaxed); SG = F-43m; size of the total moment = 2.0 μB/cell; E_tot = -0.71891 hartree per atom
1.0
-4.148 -1.202 3.942
-1.239 3.864 4.210
-5.067 2.915 -0.106
Ba Sr Yb Re O
1 1 1 1 6
direct
0.750 0.750 0.750
0.250 0.250 0.250
0.500 0.500 0.500
0.000 0.000 0.000
0.762 0.762 0.238
0.238 0.762 0.238
0.762 0.238 0.238
0.238 0.238 0.762
0.762 0.238 0.762
0.238 0.762 0.762

---

No. 2
Er3Ni2 (r²SCAN, relaxed); SG = R-3; size of the total moment = 0.0 μB/cell; E_tot = -0.93709 hartree per atom
1.0
6.782 -0.007 2.119
1.555 6.601 2.120
-0.009 -0.009 7.105
Er Ni
9 6
direct
0.500 0.500 0.500
0.293 0.293 0.293
0.707 0.707 0.707
0.330 0.836 0.113
0.113 0.330 0.836
0.836 0.113 0.330
0.670 0.164 0.887
0.887 0.670 0.164
0.164 0.887 0.670
0.644 0.461 0.086
0.086 0.644 0.461
0.461 0.086 0.644
0.356 0.539 0.914
0.914 0.356 0.539
0.539 0.914 0.356

---

No. 3
CaPd (r²SCAN, relaxed); SG = Pm-3m; size of the total moment = 0.0 μB/cell; E_tot = -0.57494 hartree per atom
1.0
-2.765 0.555 2.083
-0.896 -3.377 -0.291
1.960 -0.762 2.805
Ca Pd
1 1
direct
0.000 0.000 0.000
0.500 0.500 0.500

---

No. 4
HoCdHg2 (r²SCAN, relaxed); SG = Fm-3m; size of the total moment = 0.0 μB/cell; E_tot = -1.40910 hartree per atom
1.0
0.000 3.559 3.559
3.559 0.000 3.559
3.559 3.559 0.000
Ho Cd Hg
1 1 2
direct
0.750 0.750 0.750
0.250 0.250 0.250
0.000 0.000 0.000
0.500 0.500 0.500

---

No. 5
HfTi3 (r²SCAN, relaxed); SG = P6_3/mmc; size of the total moment = 0.0 μB/cell; E_tot = -0.77036 hartree per atom
1.0
1.171 5.195 -2.816
-2.147 0.042 5.628
4.414 -0.082 1.684
Hf Ti
2 6
direct
0.333 0.667 0.750
0.667 0.333 0.250
0.161 0.323 0.250
0.677 0.839 0.250
0.161 0.839 0.250
0.839 0.677 0.750
0.323 0.161 0.750
0.839 0.161 0.750

---

No. 6
TbPO4 (r²SCAN, relaxed); SG = I4_1/amd; size of the total moment = 0.0 μB/cell; E_tot = -0.51557 hartree per atom
1.0
5.519 0.001 -1.589
-3.126 4.548 -1.589
-0.001 -0.001 5.743
Tb P O
2 2 8
direct
0.125 0.875 0.250
0.875 0.125 0.750
0.375 0.625 0.750
0.625 0.375 0.250
0.783 0.359 0.076
0.708 0.783 0.924
0.359 0.783 0.576
0.783 0.708 0.424
0.292 0.217 0.076
0.217 0.641 0.924
0.217 0.292 0.576
0.641 0.217 0.424

=====

Ba4CaRh4O12 (PBE, optimized geometry); E above lowest polymorph = 79.0 meV per atom; symmetry = P3m1 (156)
1.0
-1.081 3.866 4.215
-4.217 -3.577 -1.820
2.883 -7.079 7.232
Rh O Ba Ca
4 12 4 1
Cartesian
-1.018 -1.335 4.983 Rh
-1.805 0.598 3.008 Rh
-0.625 -7.349 6.580 Rh
-1.423 -5.390 4.579 Rh
-0.711 -5.251 2.659 O
0.183 -6.623 8.281 O
0.361 -5.787 5.400 O
-0.317 -4.833 10.232 O
-2.015 -5.657 6.474 O
-1.243 -3.351 4.731 O
-3.315 -5.109 3.836 O
-0.928 0.684 4.939 O
-1.530 -7.391 4.584 O
2.135 -4.967 9.123 O
-0.448 -1.033 3.067 O
-2.801 -0.904 4.130 O
-2.358 -3.094 2.234 Ba
1.403 -3.445 3.519 Ba
-0.020 -3.786 7.487 Ba
0.291 -0.715 0.730 Ba
2.392 -5.873 6.000 Ca

---

Ba12SrCa3Ru8O36 (PBE, optimized geometry); symmetry = P-3m1 (164)
1.0
2.994 -5.185 0.000
2.994 5.185 0.000
0.000 0.000 30.205
O Ru Ba Ca Sr
36 8 12 3 1
Cartesian
1.580 0.912 6.234 O
1.580 0.912 16.475 O
2.994 3.361 16.475 O
2.994 -3.348 28.708 O
4.407 0.912 16.475 O
4.357 2.515 3.863 O
1.642 2.509 18.867 O
4.405 -0.914 8.946 O
4.396 -0.919 28.708 O
2.994 3.348 1.497 O
1.580 -0.912 23.971 O
4.396 0.919 1.497 O
4.357 -2.515 26.342 O
4.407 0.912 6.234 O
2.994 -3.358 8.946 O
2.994 3.358 21.259 O
1.583 -0.914 8.946 O
2.994 -3.361 23.971 O
4.407 -0.912 13.730 O
1.592 -0.919 28.708 O
4.346 -2.509 11.338 O
4.346 2.509 18.867 O
1.583 0.914 21.259 O
1.631 -2.515 26.342 O